Material:
=====
--- one ---
Sc5Tc: optimized geometry, GGA-PBE.

abc: 5.6963 5.6963 5.6963
angles: 60.00 60.00 60.00
Closest atoms and distances in Å follow each position.
Fractional coordinates of all 6 atoms:
Sc  0.0000  0.0000  0.0000  12 Sc 3.34, 4 Tc 3.49
Sc  0.1287  0.6238  0.6238  6 Sc 2.82-2.88
Sc  0.6238  0.1287  0.6238  6 Sc 2.82-2.88
Sc  0.6238  0.6238  0.1287  6 Sc 2.82-2.88
Sc  0.6238  0.6238  0.6238  6 Sc 2.82-2.88
Tc  0.2500  0.2500  0.2500  16 Sc 3.34-3.49

--- two ---
Sc5Tc: optimized geometry, GGA-PBE.

abc: 5.3696 5.3696 5.4566
angles: 90.00 90.00 120.00
Closest atoms and distances in Å follow each position.
Fractional coordinates of all 6 atoms:
Sc  0.0000  0.5000  0.0000  4 Sc 2.68
Sc  0.3333  0.6667  0.5000  3 Tc 3.10, 9 Sc 3.10-3.14
Sc  0.5000  0.0000  0.0000  4 Sc 2.68
Sc  0.5000  0.5000  0.0000  4 Sc 2.68
Sc  0.6667  0.3333  0.5000  3 Tc 3.10, 9 Sc 3.10-3.14
Tc  0.0000  0.0000  0.5000  6 Sc 3.10

--- three ---
Sc5Tc: optimized geometry, GGA-PBE.

abc: 5.8518 5.8518 7.6323
angles: 110.53 110.53 33.37
Closest atoms and distances in Å follow each position.
Fractional coordinates of all 6 atoms:
Sc  0.0000  0.0000  0.0000  10 Sc 3.12-3.36
Sc  0.3375  0.3375  0.2132  2 Tc 2.83, 2 Sc 3.12-3.14
Sc  0.3634  0.3634  0.6366  2 Tc 2.72
Sc  0.6366  0.6366  0.3634  2 Tc 2.72
Sc  0.6625  0.6625  0.7868  2 Tc 2.83, 2 Sc 3.12-3.14
Tc  0.0000  0.0000  0.5000  8 Sc 2.72-2.83

The winner here is three, beating the second structure by 584 meV/atom.


# PBE LiMgSb2, optimized geometry
# formation energy (no corrections) = -0.270 eV per atom
# E = -3.208 eV per atom
# total moment = 0.00 Bohr magnetons per cell
data_LiMgSb2
_chemical_formula_sum 'Li2 Mg2 Sb4'
_symmetry_space_group_name_H-M 'C 1 2/m 1'
_symmetry_Int_Tables_number 12
_symmetry_space_group_name_Hall '-C 2y'
_cell_length_a 6.695
_cell_length_b 8.529
_cell_length_c 3.299
_cell_angle_alpha 90.00
_cell_angle_beta 96.53
_cell_angle_gamma 90.00
loop_
_atom_site_label
_atom_site_fract_x
_atom_site_fract_y
_atom_site_fract_z
_atom_site_occupancy
Li1 0.000 0.000 0.000 1
Mg1 0.000 0.500 0.000 1
Sb1 0.250 0.250 0.500 1

# PBE Li2MgSb, optimized geometry
# formation energy (no corrections) = -0.173 eV per atom
# E = -2.559 eV per atom
# total moment = 0.00 Bohr magnetons per cell
data_Li2MgSb
_chemical_formula_sum 'Li6 Mg3 Sb3'
_symmetry_space_group_name_H-M 'R -3 m'
_symmetry_Int_Tables_number 166
_symmetry_space_group_name_Hall '-R 3 2"'
_cell_length_a 3.3418
_cell_length_b 3.3418
_cell_length_c 28.3015
_cell_angle_alpha 90.00
_cell_angle_beta 90.00
_cell_angle_gamma 120.00
loop_
_atom_site_label
_atom_site_fract_x
_atom_site_fract_y
_atom_site_fract_z
_atom_site_occupancy
Li1 0.0000 0.0000 0.2410 1
Mg1 0.0000 0.0000 0.0000 1
Sb1 0.0000 0.0000 0.5000 1

# PBE LiMg2Sb, optimized geometry
# formation energy (no corrections) = -0.127 eV per atom
# E = -2.433 eV per atom
# total moment = 0.00 Bohr magnetons per cell
data_LiMg2Sb
_chemical_formula_sum 'Li2 Mg4 Sb2'
_symmetry_space_group_name_H-M 'C m m 2'
_symmetry_Int_Tables_number 35
_symmetry_space_group_name_Hall 'C 2 -2'
_cell_length_a 4.186
_cell_length_b 4.902
_cell_length_c 8.947
_cell_angle_alpha 90.00
_cell_angle_beta 90.00
_cell_angle_gamma 90.00
loop_
_atom_site_label
_atom_site_fract_x
_atom_site_fract_y
_atom_site_fract_z
_atom_site_occupancy
Li1 0.000 0.000 0.000 1
Mg1 0.000 0.000 0.516 1
Mg2 0.000 0.500 0.257 1
Sb1 0.000 0.500 0.773 1

# PBE Li4MgSb, optimized geometry
# formation energy (no corrections) = -0.147 eV per atom
# E = -2.376 eV per atom
# total moment = 0.00 Bohr magnetons per cell
data_Li4MgSb
_chemical_formula_sum 'Li16 Mg4 Sb4'
_symmetry_space_group_name_H-M 'F -4 3 m'
_symmetry_Int_Tables_number 216
_symmetry_space_group_name_Hall 'F -4 2 3'
_cell_length_a 7.705
_cell_length_b 7.705
_cell_length_c 7.705
_cell_angle_alpha 90.00
_cell_angle_beta 90.00
_cell_angle_gamma 90.00
loop_
_atom_site_label
_atom_site_fract_x
_atom_site_fract_y
_atom_site_fract_z
_atom_site_occupancy
Li1 0.125 0.125 0.125 1
=====

Job:
Write out all of the listing above word for word.

Reply:
--- one ---
Sc5Tc: optimized geometry, GGA-PBE.

abc: 5.6963 5.6963 5.6963
angles: 60.00 60.00 60.00
Closest atoms and distances in Å follow each position.
Fractional coordinates of all 6 atoms:
Sc  0.0000  0.0000  0.0000  12 Sc 3.34, 4 Tc 3.49
Sc  0.1287  0.6238  0.6238  6 Sc 2.82-2.88
Sc  0.6238  0.1287  0.6238  6 Sc 2.82-2.88
Sc  0.6238  0.6238  0.1287  6 Sc 2.82-2.88
Sc  0.6238  0.6238  0.6238  6 Sc 2.82-2.88
Tc  0.2500  0.2500  0.2500  16 Sc 3.34-3.49

--- two ---
Sc5Tc: optimized geometry, GGA-PBE.

abc: 5.3696 5.3696 5.4566
angles: 90.00 90.00 120.00
Closest atoms and distances in Å follow each position.
Fractional coordinates of all 6 atoms:
Sc  0.0000  0.5000  0.0000  4 Sc 2.68
Sc  0.3333  0.6667  0.5000  3 Tc 3.10, 9 Sc 3.10-3.14
Sc  0.5000  0.0000  0.0000  4 Sc 2.68
Sc  0.5000  0.5000  0.0000  4 Sc 2.68
Sc  0.6667  0.3333  0.5000  3 Tc 3.10, 9 Sc 3.10-3.14
Tc  0.0000  0.0000  0.5000  6 Sc 3.10

--- three ---
Sc5Tc: optimized geometry, GGA-PBE.

abc: 5.8518 5.8518 7.6323
angles: 110.53 110.53 33.37
Closest atoms and distances in Å follow each position.
Fractional coordinates of all 6 atoms:
Sc  0.0000  0.0000  0.0000  10 Sc 3.12-3.36
Sc  0.3375  0.3375  0.2132  2 Tc 2.83, 2 Sc 3.12-3.14
Sc  0.3634  0.3634  0.6366  2 Tc 2.72
Sc  0.6366  0.6366  0.3634  2 Tc 2.72
Sc  0.6625  0.6625  0.7868  2 Tc 2.83, 2 Sc 3.12-3.14
Tc  0.0000  0.0000  0.5000  8 Sc 2.72-2.83

The winner here is three, beating the second structure by 584 meV/atom.


# PBE LiMgSb2, optimized geometry
# formation energy (no corrections) = -0.270 eV per atom
# E = -3.208 eV per atom
# total moment = 0.00 Bohr magnetons per cell
data_LiMgSb2
_chemical_formula_sum 'Li2 Mg2 Sb4'
_symmetry_space_group_name_H-M 'C 1 2/m 1'
_symmetry_Int_Tables_number 12
_symmetry_space_group_name_Hall '-C 2y'
_cell_length_a 6.695
_cell_length_b 8.529
_cell_length_c 3.299
_cell_angle_alpha 90.00
_cell_angle_beta 96.53
_cell_angle_gamma 90.00
loop_
_atom_site_label
_atom_site_fract_x
_atom_site_fract_y
_atom_site_fract_z
_atom_site_occupancy
Li1 0.000 0.000 0.000 1
Mg1 0.000 0.500 0.000 1
Sb1 0.250 0.250 0.500 1

# PBE Li2MgSb, optimized geometry
# formation energy (no corrections) = -0.173 eV per atom
# E = -2.559 eV per atom
# total moment = 0.00 Bohr magnetons per cell
data_Li2MgSb
_chemical_formula_sum 'Li6 Mg3 Sb3'
_symmetry_space_group_name_H-M 'R -3 m'
_symmetry_Int_Tables_number 166
_symmetry_space_group_name_Hall '-R 3 2"'
_cell_length_a 3.3418
_cell_length_b 3.3418
_cell_length_c 28.3015
_cell_angle_alpha 90.00
_cell_angle_beta 90.00
_cell_angle_gamma 120.00
loop_
_atom_site_label
_atom_site_fract_x
_atom_site_fract_y
_atom_site_fract_z
_atom_site_occupancy
Li1 0.0000 0.0000 0.2410 1
Mg1 0.0000 0.0000 0.0000 1
Sb1 0.0000 0.0000 0.5000 1

# PBE LiMg2Sb, optimized geometry
# formation energy (no corrections) = -0.127 eV per atom
# E = -2.433 eV per atom
# total moment = 0.00 Bohr magnetons per cell
data_LiMg2Sb
_chemical_formula_sum 'Li2 Mg4 Sb2'
_symmetry_space_group_name_H-M 'C m m 2'
_symmetry_Int_Tables_number 35
_symmetry_space_group_name_Hall 'C 2 -2'
_cell_length_a 4.186
_cell_length_b 4.902
_cell_length_c 8.947
_cell_angle_alpha 90.00
_cell_angle_beta 90.00
_cell_angle_gamma 90.00
loop_
_atom_site_label
_atom_site_fract_x
_atom_site_fract_y
_atom_site_fract_z
_atom_site_occupancy
Li1 0.000 0.000 0.000 1
Mg1 0.000 0.000 0.516 1
Mg2 0.000 0.500 0.257 1
Sb1 0.000 0.500 0.773 1

# PBE Li4MgSb, optimized geometry
# formation energy (no corrections) = -0.147 eV per atom
# E = -2.376 eV per atom
# total moment = 0.00 Bohr magnetons per cell
data_Li4MgSb
_chemical_formula_sum 'Li16 Mg4 Sb4'
_symmetry_space_group_name_H-M 'F -4 3 m'
_symmetry_Int_Tables_number 216
_symmetry_space_group_name_Hall 'F -4 2 3'
_cell_length_a 7.705
_cell_length_b 7.705
_cell_length_c 7.705
_cell_angle_alpha 90.00
_cell_angle_beta 90.00
_cell_angle_gamma 90.00
loop_
_atom_site_label
_atom_site_fract_x
_atom_site_fract_y
_atom_site_fract_z
_atom_site_occupancy
Li1 0.125 0.125 0.125 1